JACK THE GIANT SLAYER Is A Complete Waste Of Time

Stay away from this boring bore-fest.

Jack the Giant Slayer is a non-film. In two years, people will see $2 Blu-rays of it on Black Friday and all but the most clueless grandmothers will pass it by. I stayed awake through my screening (with difficulty) and it still feels like a benign dream I can barely remember.

You can tell a lot about what Jack and the Giant Slayer does wrong from its opening scenes. The film treats us to not one but two animated prologues (or maybe you could see it as one animated epilogue that gets weirdly interrupted) which not only saddle us with an overly complicated backstory right off the bat, but also offer audiences a chance to ponder the minuscule difference between "cartoon" CG giants of the prologue and "real" CG giants to come later. That was a bad idea.

This prologue is awkwardly fractured largely because Bryan Singer insists on framing it around a children's tale being told not just to a young Jack as we might expect, but to the film's young princess as well. Singer cross-cuts between Jack and his future bride in an effort to recall some of that fast paced and hyper connected The Fifth Element editing style. It doesn't work. Jack the Giant Slayer also tries to cultivate its own in-house catchphrases. Those don't work either.

So before this film has even really had a chance to get going, it has already overloaded us with exposition, confused us, and failed at being charming, one of the harder failures to rebound from.

Bryan Singer's never been much of a humorist, and here he appears desperate to mimic a tone he doesn't understand. He's essentially made a live action-ish Dreamworks animation film, but not even one of the newer, good ones.

Structurally, Jack the Giant Slayer's a chunky movie. It spends most of its time crawling along but sometimes runs into brief scenes of activity. The first part of the film is all about the big beanstalk and how a bunch of guys climb it. When they get to the top, it's all about the land of the giants, which is basically just a rocky grassland with lots of giant faces carved into stone. Then the film ends after a big tug of war match (literally) between humans and giants. If you're still tempted to see this one for some reason, know that Fee, Fi, Fo, and Fum are actually the names of four individual giants in the film. That should cure you.

Regarding the giants, if you've seen the trailer the only thing I can tell you that you don't already know is that they fart a lot and eat their boogers like a bunch of earthy Stephen King characters. The closest any of them come to having a personality is one guy with especially big hair. The two-headed giant who provides the film's main villain represents yet another of the film's big comedy missteps.

Speaking of which, there's a big thing that repeatedly happens with the giants where they take humans and make like they're going to do something super violent like bite their head off or rip them in half and the film arrhythmically cuts away, as though it were an R-rated gore fest edited for television. I'm not trying to say a film like this should be R-rated, but these weird cuts speak to Singer's seemingly blind stabs at tone. It looks like a mistake rather than a decision.

**Records of crystals from another source follow:**
Record 1
Density functional theory data (PBE) for an optimized crystal structure of LiHfAg2Mo.

Computed properties:
E: -20.93 eV per cell
total magnetization: 0.00 μB per cell
formation energy: 721 kJ/mol of formula units

Unit cell a=4.9403 b=4.9403 c=4.4421 alpha=90.00 beta=90.00 gamma=90.00
With the nearest neighbours (Å) after each atom.
Space group P4/mmm (No. 123)
Inequivalent atoms, fractional coordinates:
Li 0.0000 0.0000 0.0000  2 Mo 2.22
Hf 0.5000 0.5000 0.0000  8 Ag 3.32, 4 Li 3.49
Ag 0.0000 0.5000 0.5000  2 Mo 2.47
Mo 0.0000 0.0000 0.5000  2 Li 2.22, 4 Ag 2.47

***

Record 2
Density functional theory data (PBE) for an optimized crystal structure of MgBeInGa2.

Computed properties:
E: -13.10 eV per cell
total magnetization: 0.00 μB per cell
formation energy: 97 kJ/mol of formula units

Unit cell a=4.4926 b=4.4926 c=5.0232 alpha=90.00 beta=90.00 gamma=90.00
With the nearest neighbours (Å) after each atom.
Space group P4/mmm (No. 123)
Inequivalent atoms, fractional coordinates:
Mg 0.0000 0.0000 0.0000  2 Be 2.51
Be 0.0000 0.0000 0.5000  4 Ga 2.25, 2 Mg 2.51
In 0.5000 0.5000 0.0000  4 Mg 3.18, 8 Ga 3.37
Ga 0.0000 0.5000 0.5000  2 Be 2.25

***

Record 3
Density functional theory data (PBE) for an optimized crystal structure of CoPIr2.

Computed properties:
E: -29.87 eV per cell
total magnetization: 1.99 μB per cell
formation energy: 36 kJ/mol of formula units
energy above the most stable polymorph in this dataset: 0.236 eV/atom

Unit cell a=2.8066 b=3.7837 c=5.0848 alpha=90.00 beta=90.00 gamma=90.00
With the nearest neighbours (Å) after each atom.
Space group Pmm2 (No. 25)
Inequivalent atoms, fractional coordinates:
Co 0.0000 0.0000 0.0000  6 Ir 2.48-2.59
P 0.5000 0.5000 0.6766  6 Ir 2.42-2.66
Ir 0.0000 0.0000 0.5085  2 Co 2.50-2.59, 4 P 2.51
Ir 0.5000 0.5000 0.1532  2 P 2.42-2.66, 4 Co 2.48

***

Record 4
Density functional theory data (PBE) for an optimized crystal structure of Sn2BiS.

Computed properties:
formation energy (no corrections): -49 meV/atom
E: -48.63 eV per cell
total magnetization: 0.00 μB per cell
energy above the most stable polymorph in this dataset: 0.017 eV/atom

Unit cell a=4.1722 b=4.1722 c=22.5934 alpha=90.00 beta=90.00 gamma=120.00
With the nearest neighbours (Å) after each atom.
Space group R-3m (No. 166, hexagonal axes)
Inequivalent atoms, fractional coordinates:
Sn 0.0000 0.0000 0.2400  3 S 2.92, 3 Bi 3.20
Bi 0.0000 0.0000 0.0000  6 Sn 3.20
S 0.0000 0.0000 0.5000  6 Sn 2.92

***

Record 5
Density functional theory data (PBE) for an optimized crystal structure of AcTb2Pr12.

Computed properties:
E: -273.72 eV per cell
total magnetization: 0.00 μB per cell
formation energy: 221 kJ/mol of formula units

Unit cell a=7.2812 b=11.8288 c=25.5603 alpha=90.00 beta=90.00 gamma=90.00
With the nearest neighbours (Å) after each atom.
Space group Cmme (No. 67)
Inequivalent atoms, fractional coordinates:
Ac 0.0000 0.2500 0.0133  6 Pr 3.57-3.68, 2 Ac 3.70
Tb 0.0000 0.2500 0.2756  2 Tb 3.64, 10 Pr 3.71-3.94

Nicholas Hoult is fine as Jack, but he's not really playing the character beyond simple archetype. Ewan McGregor plays his white knight role much like an overly caffeinated Obi Wan Kenobi (he even throws in a paraphrased "I have a bad feeling about this").  Stanley Tucci lets his prosthetic teeth do the acting for him (again). Ian McShane's character alternates between comically ineffectual and mildly heroic without rhyme or reason. The only real bright spot in the cast might be Trainspotting's Ewen Bremner as Tucci's overly giggly henchman, simply because his performance takes you so far out of the film it feels like breathing fresh air.

There are small, highly isolated islands of worth contained within Jack the Giant Slayer. The big giant fight at the end starts out exciting until Singer limits the whole battle to a tug of war match (again, literally). It's almost fun whenever Jack actually slays giants. He only kills a couple, but that's more than anyone else in the film, so I guess he wins his title on a technicality.

This is a movie to see on accident and for free. Or you could just miss it all together. Not one ounce of wit or enthusiasm went into the film, so I doubt it will mind when you forget it exists mere weeks from now.
